_Work order_
Set down every line further below that contains the word "Eh", please.
_Material_
Density functional theory data (the ωB97M-V functional and the def2-TZVPD basis) for the molecule C2H5OP.

```
9
C2H5OP (the ωB97M-V functional and the def2-TZVPD basis)
P 2.512 0.204 0.258
O -0.037 -0.549 0.744
C 0.757 0.236 0.016
C -1.343 -0.455 0.195
H 2.973 1.243 -0.528
H 0.251 0.665 -0.805
H -1.545 -1.303 -0.331
H -2.143 -0.432 0.925
H -1.424 0.391 -0.474
```

Computed properties:
- SMILES string: [H]/P=C/OC
- HOMO: -8.276 eV
- Frontier orbital gap: 8.802 eV
- Relative energy (zero: lowest compared OMol25 entry of this formula, charge and spin): 2.150 eV
- Net charge: 0
- LUMO level: 0.019 Eh
- Multiplicity: 1

=====

No. 1
ORCA calculation (ωB97M-V with the def2-TZVPD basis set) on a molecular structure, C12H26N4O7Tl.

Geometry (Å):
1 C -1.65 -1.05 -4.41
2 H -0.16 -4.93 -0.51
3 O 0.32 -0.23 1.85
4 H 1.37 5.11 0.33
5 C 1.93 -3.70 -1.73
6 H -1.75 -4.18 -0.73
7 O 0.21 -1.09 -4.05
8 C -1.08 2.70 0.87
9 C -1.97 3.25 1.91
10 H 1.55 -2.04 3.34
11 N 1.64 -1.35 -1.16
12 H 1.64 -4.69 -1.36
13 Tl 0.71 0.55 -0.31
14 H 0.66 -0.25 -3.72
15 H 1.77 -3.68 -2.82
16 C 0.41 -0.24 3.08
17 C -0.14 -2.78 -0.49
18 C 0.50 4.75 0.88
19 C 0.09 3.41 0.42
20 H -2.82 2.58 2.02
21 C -0.55 0.49 3.94
22 O 0.95 1.27 -2.67
23 H -2.03 -1.98 -4.80
24 H -1.00 -4.20 0.88
25 O 1.74 3.27 -1.25
26 H -0.33 5.45 0.73
27 H -0.66 -0.02 4.90
28 C -0.79 -4.09 -0.20
29 C 1.13 -2.64 -1.10
30 O 2.73 -1.09 -1.73
31 H 1.57 2.06 -2.33
32 H 2.47 -0.52 3.55
33 N 0.89 2.74 -0.44
34 H -2.32 4.26 1.62
35 H 0.84 -1.35 -4.73
36 H -1.44 3.34 2.88
37 H 1.34 -1.06 4.82
38 H -1.52 0.58 3.46
39 C 1.50 -1.02 3.73
40 H -1.92 -0.75 -3.45
41 H -2.18 -0.21 0.73
42 O -2.38 0.81 0.82
43 O -1.75 -1.66 0.61
44 H 0.74 4.74 1.95
45 H -1.29 -0.12 -4.83
46 H 0.28 1.73 -3.21
47 N -1.31 1.47 0.32
48 H 2.99 -3.53 -1.54
49 H -0.16 1.49 4.15
50 N -0.75 -1.59 -0.19

Summary:
Max |F| ... 3.95 eV/A
E_LUMO (alpha / beta) ... -0.18769 / -0.18810 Ha
Net charge ... +1
Gap between HOMO and LUMO (alpha / beta) ... 3.96 / 3.84 eV

=====

No. 2
ORCA calculation (ωB97M-V with the def2-TZVPD basis set) on a molecular structure, C12H26NO9Sr.

Geometry (Å):
1 H -1.70 7.54 6.34
2 C 1.47 7.94 4.61
3 H -0.31 9.39 1.42
4 H 2.33 8.22 3.99
5 O 2.28 7.35 1.34
6 C -0.20 12.66 3.47
7 H 1.09 9.38 2.40
8 H 2.51 6.02 -0.24
9 C 0.72 13.84 3.69
10 H 1.11 8.33 -0.05
11 C 1.02 7.80 0.91
12 O 0.94 9.09 5.24
13 H -5.62 10.36 2.10
14 O -1.43 12.80 3.56
15 H 0.17 14.67 4.14
16 H 1.84 7.24 5.37
17 O -3.83 10.95 4.66
18 C 3.05 6.82 0.27
19 N -0.42 8.05 2.99
20 H 0.88 6.39 3.28
21 H 2.32 10.63 5.12
22 H 0.35 6.93 0.74
23 H 3.32 7.61 -0.44
24 Sr -1.34 10.22 4.58
25 H -1.19 7.54 2.58
26 H 2.75 9.32 6.26
27 H 1.18 14.15 2.75
28 H -6.18 9.48 3.52
29 H 1.50 13.56 4.40
30 C 0.36 8.71 1.95
31 H -2.69 7.59 5.17
32 C -5.60 10.34 3.20
33 C 0.40 7.20 3.84
34 H 3.97 6.43 0.71
35 C 1.92 9.91 5.83
36 O 0.33 11.51 3.27
37 H -0.25 6.70 4.56
38 C -0.46 13.22 8.24
39 O -2.12 8.14 5.72
40 O -2.50 12.97 7.06
41 C -4.15 10.27 3.68
42 H -0.31 12.62 9.14
43 H -6.07 11.25 3.56
44 H 1.47 10.46 6.66
45 O -0.85 11.47 6.71
46 C -1.38 12.51 7.24
47 H 0.55 13.33 7.82
48 O -3.35 9.55 2.99
49 H -0.80 14.20 8.56

Summary:
ΔE to the lowest compared entry with this formula, charge and spin ... 5.38 kcal/mol
Max |F| ... 1.74 eV/A
E_LUMO ... 0.07828 Ha
Net charge ... -1
Gap between HOMO and LUMO ... 6.85 eV

=====

No. 3
ORCA calculation (ωB97M-V with the def2-TZVPD basis set) on 5 unconnected molecules or ions with the total composition C12H26O13S2.

Geometry (Å):
1 O -0.96 -1.56 -1.99
2 H -2.09 0.27 1.34
3 H 3.40 5.21 0.97
4 O 3.27 -3.30 -4.70
5 H -1.24 4.41 0.49
6 C 0.61 3.43 0.62
7 C -1.38 -0.41 4.54
8 S 1.97 -2.55 -5.59
9 O -1.21 -1.16 0.22
10 O 3.15 2.61 1.56
11 H -1.47 2.78 1.17
12 C -0.63 1.39 5.63
13 H 2.49 5.94 2.36
14 C -3.50 -0.86 0.09
15 C -1.58 -1.05 -1.06
16 C -0.92 3.37 0.44
17 H -7.05 -0.05 0.34
18 H 0.97 2.45 0.31
19 H 1.07 4.11 -0.10
20 O 0.91 3.79 1.99
21 S 2.45 3.60 2.47
22 O 2.46 3.49 3.93
23 C 3.18 5.16 2.04
24 H 2.60 -6.68 -4.85
25 H 0.15 -1.31 -4.38
_Response_
- LUMO level: 0.019 Eh